Russia: After Prigozhin’s uprising, crisis deepens for Putin

Niall Mulholland, Committee for a Workers’ International (CWI)
In a dramatic turn of events over the weekend of 24-25 June, the Russian mercenary leader, Yevgeny Prigozhin, staged an armed uprising, only to turn his Wagner fighters back from a march on Moscow after a truce was struck with Vladimir Putin’s regime.
Although Putin has seen off this coup attempt, his authority has been hugely damaged, and the deep divisions within the Russian military and state apparatus revealed to the world. Putin’s humiliation will be seen as a sign of severe weakness by enemies and allies alike. The potential for the collapse of the Putin regime, if unrest and armed resistance were to erupt again, is starkly posed.
Putin had vowed to crush the Wagner paramilitary force for “treason”. But instead, it appears, Prigozhin has been allowed to go to Belarus after launching the first coup attempt in Russia since 1991. The deal was brokered by Alexander Lukashenko, the president of Belarus, and an ally of Putin. It seems that the Kremlin has dropped plans to disband the Wagner group, and Wagner soldiers that took part in the rebellion will be spared from prosecution.
However, on Monday 26 June, the Kremlin struck a somewhat different note, perhaps in an attempt to reassert its authority. Russian state media reported that Prigozhin is still under investigation. And in an attempt to present an image of ‘business as usual’, the Russian defence minister was shown meeting soldiers on state television.
Unfolding crisis
The crisis began on Friday 23 June, after Prigozhin claimed that scores of his troops had been killed in aerial attacks by Russian military forces, following months of tensions between Prigozhin and Russian military chiefs. Prigozhin was also reacting against reports that Russian generals intended to send less resources to his Wagner group, and that his forces would be made to accept the command of Russian army chiefs by 1 July. This was after the Wagner group seized control of Bakhmut, in east Ukraine, in May.
Prigozhin instructed thousands of armed Wagner fighters to cross the border from occupied Ukraine, and seized control of the southern city of Rostov-on-Don, early on the morning of Saturday 24 June. He claimed that his forces shot down several Russian military helicopters as they took over the headquarters of Southern Military District in the city, which is key in coordinating Russian forces in Ukraine.
Prigozhin declared he had 25,000 fighters and was organising a “march for justice”. He demanded the removal of the Russian defence minister, Sergei Shoigu, and Valery Gerasimov, commander of Russia’s invasion force. The fact that Wagner forces managed to move 700 kilometres towards Moscow largely unhindered poses questions about the morale and cohesion of the Russian army. It appears that with large sections of the army stationed in Ukraine, the Russian police and FSB secret service floundered in dealing with the Wagner threat.
In his statement announcing the armed rebellion, Prigozhin stated that Russian generals had misled Putin into the invasion of Ukraine. This was an incredible turnaround. Previously, Prigozhin was one of the most bellicose supporters of the conduct of the war. Some commentators have speculated that these contradictory claims indicate a signalling by Prigozhin to Nato and the West that he is open to discussion or has already established back channels. This can reflect the thinking of a section of the oligarchs and ruling elites in Russia, who have concluded the bogged-down war in Ukraine is becoming untenable, and not worth the huge cost in human resources and treasure to continue without an end in sight.
We still do not fully know what Prigozhin’s aims and intentions were. Did he really intend to march on Moscow for a possible bloody showdown with the Russian army and the Putin regime, or was it a bluff to force the ousting of Shoigu and Gerasimov? On Monday 26 June, Prigozhin released a video denying that he had intended to overthrow the Russian government and his ‘march’ was to “prevent the destruction of the Wagner [group]… and to hold to account those who made a huge number of mistakes during the special military operation [the official euphemism for the invasion of Ukraine]”.
Although Prigozhin’s forces took control of Rostov relatively easily, and there were reports of fraternisation with regular soldiers and support from civilians, it appears Prigozhin was not assured he could win wider support amongst rank-and-file soldiers and the general population, to which he made a populist ‘anti-corruption’ appeal, in order to successfully march on Moscow.
Putin undermined
Although Putin has seen off the coup attempt, this crisis has hugely damaged his authority and prestige in Russia and internationally. He has ruled in a ‘Bonapartist’ manner for decades, acting as a supreme arbiter-in-chief between contending oligarchs and different factions of the military and the state apparatus. After the blundering start to Russia’s invasion of Ukraine, Putin allowed the Wagner group – a mercenary army formed in 2014 and utilised as part of the Russian military annexation of Crimea – to play a leading role on the front line. Prigozhin bolstered his military forces by giving Russian criminal prisoners the option of release if they signed up to his paramilitary force.
However, the monster that Putin helped to cultivate in the form of Prigozhin and his Wagner group finally turned against him. It remains to be seen the details and full outcome of the deal struck by Lukashenko. Will Putin sack Shoigu and Gerasimov as demanded by Prigozhin? To do so, might stem opposition, at least in the short term, including from disgruntled regular army soldiers at the conduct of the Ukraine war, but it would also show further weakness by Putin.
Putin will also have to consider what to do with the Wagner group. If it is disbanded entirely this can lead to new resentments and opposition. Although exiled to Belarus, Prigozhin can act as a figurehead for opposition to Putin.
With more than a dozen paramilitary outfits formed in the last decade or so, after Prigozhin’s short-lived rebellion the Kremlin announced that private military contractors will be brought under the control of the Ministry of Defence, and that only the army can recruit convicts. But this will do little to lessen the threat to Putin of new revolts. Sections of the oligarchy and state machine will be considering a post-Putin arrangement, and all sorts of court intrigue can take place.
Deepening divisions among the ruling class can be expressed in increased regionalism, as local political bosses and capitalist interests look to save their skins. And many have their own forces, as various regions in Russia formed paramilitary outfits to join the war effort in Ukraine over the last year.
War in Ukraine
Here the article breaks off for data records:
........
DFT (GGA-PBE) results for an optimized crystal structure of Ta9Pb12O20F29.

Summary:
Total energy after the MP2020 corrections ... -0.271 Ha/atom
Formation energy ... -3017 meV per atom

```
data_Ta9Pb12O20F29
_cell_length_a 16.6396
_cell_length_b 16.6396
_cell_length_c 16.6396
_cell_angle_alpha 90.80
_cell_angle_beta 90.80
_cell_angle_gamma 166.44
_symmetry_space_group_name_H-M 'P 1'
_symmetry_Int_Tables_number 1
loop_
_symmetry_equiv_pos_as_xyz
'x,y,z'
loop_
_atom_site_label
_atom_site_type_symbol
_atom_site_fract_x
_atom_site_fract_y
_atom_site_fract_z
Ta1 Ta 0.0000 0.0000 0.0000
Ta2 Ta 0.0282 0.2318 0.2599
Ta3 Ta 0.1009 0.8698 0.9707
Ta4 Ta 0.1302 0.1009 0.2311
Ta5 Ta 0.2318 0.9718 0.2036
Ta6 Ta 0.7682 0.0282 0.7964
Ta7 Ta 0.8698 0.8991 0.7689
Ta8 Ta 0.8991 0.1302 0.0293
Ta9 Ta 0.9718 0.7682 0.7401
Pb1 Pb 0.1015 0.5475 0.6491
Pb2 Pb 0.2106 0.3981 0.6087
Pb3 Pb 0.2540 0.6723 0.9263
Pb4 Pb 0.3277 0.2540 0.5817
Pb5 Pb 0.3981 0.7894 0.1875
Pb6 Pb 0.4525 0.1015 0.5540
Pb7 Pb 0.5475 0.8985 0.4460
Pb8 Pb 0.6019 0.2106 0.8125
Pb9 Pb 0.6723 0.7460 0.4183
Pb10 Pb 0.7460 0.3277 0.0737
Pb11 Pb 0.7894 0.6019 0.3913
Pb12 Pb 0.8985 0.4525 0.3509
O1 O 0.0434 0.8071 0.8504
O2 O 0.0474 0.9317 0.9791
O3 O 0.0683 0.0474 0.1157
O4 O 0.0798 0.1700 0.2498
O5 O 0.1700 0.9202 0.0902
O6 O 0.1929 0.0434 0.2363
O7 O 0.2560 0.5299 0.7859
O8 O 0.3637 0.3934 0.7571
O9 O 0.3934 0.6363 0.0297
O10 O 0.4701 0.2560 0.7261
O11 O 0.5299 0.7440 0.2739
O12 O 0.6066 0.3637 0.9703
O13 O 0.6363 0.6066 0.2429
O14 O 0.7440 0.4701 0.2141
O15 O 0.8071 0.9566 0.7637
O16 O 0.8300 0.0798 0.9098
O17 O 0.9202 0.8300 0.7502
O18 O 0.9317 0.9526 0.8843
O19 O 0.9526 0.0683 0.0209
O20 O 0.9566 0.1929 0.1496
F1 F 0.0040 0.5662 0.5702
F2 F 0.0202 0.6924 0.7126
F3 F 0.0990 0.2864 0.3855
F4 F 0.1141 0.4223 0.5364
F5 F 0.1477 0.6707 0.8184
F6 F 0.1627 0.8041 0.9668
F7 F 0.1959 0.1627 0.3586
F8 F 0.2241 0.2851 0.5092
F9 F 0.2851 0.7759 0.0609
F10 F 0.2864 0.9010 0.1874
F11 F 0.3076 0.0202 0.3278
F12 F 0.3293 0.1477 0.4770
F13 F 0.4223 0.8859 0.3082
F14 F 0.4338 0.0040 0.4378
F15 F 0.5000 0.5000 0.0000
F16 F 0.5662 0.9960 0.5622
F17 F 0.5777 0.1141 0.6918
F18 F 0.6707 0.8523 0.5230
F19 F 0.6924 0.9798 0.6722
F20 F 0.7136 0.0990 0.8126
F21 F 0.7149 0.2241 0.9391
F22 F 0.7759 0.7149 0.4908
F23 F 0.8041 0.8373 0.6414
F24 F 0.8373 0.1959 0.0332
F25 F 0.8523 0.3293 0.1816
F26 F 0.8859 0.5777 0.4636
F27 F 0.9010 0.7136 0.6145
F28 F 0.9798 0.3076 0.2874
F29 F 0.9960 0.4338 0.4298
```



DFT (GGA-PBE) results for an optimized crystal structure of NiAsPd.

Summary:
Formation energy ... -316 meV per atom

```
data_NiAsPd
_cell_length_a 6.2470
_cell_length_b 6.2470
_cell_length_c 3.7508
_cell_angle_alpha 90.00
_cell_angle_beta 90.00
_cell_angle_gamma 120.00
_symmetry_space_group_name_H-M 'P 1'
_symmetry_Int_Tables_number 1
loop_
_symmetry_equiv_pos_as_xyz
'x,y,z'
loop_
_atom_site_label
_atom_site_type_symbol
_atom_site_fract_x
_atom_site_fract_y
_atom_site_fract_z
Ni1 Ni 0.0000 0.7455 0.0000
........
The background to last weekend’s extraordinary internal crisis in Russia is, of course, the disastrous course of the Ukraine conflict. Apparently badly advised by his intelligence services, Putin blundered into the war in an adventurist manner, assuming that Russian forces marching on Kyiv would be enough to overthrow the Zelensky regime, and force Nato countries to reach a deal about spheres of economic and security interests in the region.
Putin underestimated the degree to which the Ukraine army was armed, modernised and trained by Nato since 2014, and by the mass opposition of the Ukraine population to an invading army. Over the last months, Putin has had to change his tactics, and moved to expand and consolidate control of the Donbass region, as well as Crimea. The war has dragged on at a huge cost in human lives and resources on both sides.
The much vaunted ‘Spring offensive’ by Ukraine forces in the east of the country, after months of Nato rearmament, so far has failed to make much headway, and is costing many lives against well dug-in Russian defences. The Ukraine military is reportedly now launching new attacks, as it tries to exploit the confusion and disarray on the Russian side following the coup attempt. The hope being that demoralisation is spreading throughout Russian army ranks.
Facing a renewed Ukrainian army assault, and to try to bolster support at home, Putin may ratchet up his nationalist rhetoric, trying to rally the populace around the threat of outside forces and fifth columnists, and by making new threats of deploying ‘weapons of mass destruction’, including ‘strategic nuclear arms’.
The conflict has potentially entered a more unpredictable and dangerous phase, with global implications. The more sober Western analysists cautioned last weekend that if Prigozhin had managed to overthrow Putin it would not necessarily have lessened the West’s problems, as it posed the scenario of a gang of mercenaries and criminals taking power and getting their hands on nuclear arms.
Crystal structures, kept here for reference >
____________
Density functional theory data (PBE) for crystalline YClO2 at its relaxed geometry.

CIF file:
```
data_YClO2
_cell_length_a 6.344
_cell_length_b 3.600
_cell_length_c 6.367
_cell_angle_alpha 90.00
_cell_angle_beta 109.95
_cell_angle_gamma 90.00
_space_group_name_H-M_alt 'P 1 21/m 1'
_space_group_IT_number 11
loop_
_space_group_symop_operation_xyz
'x,y,z'
'-x,-y,-z'
'-x,y+1/2,-z'
'x,-y+1/2,z'
loop_
_atom_site_label
_atom_site_type_symbol
_atom_site_fract_x
_atom_site_fract_y
_atom_site_fract_z
Y1 Y 0.193 0.250 0.342
Cl1 Cl 0.238 0.750 0.024
O1 O 0.049 0.250 0.626
O2 O 0.424 0.750 0.561
```

Properties
The calculation puts the formation energy at -2057.9 meV per atom. As for the energy above the most stable polymorph in this dataset: 0.0000 eV per atom. Its corrected total energy (MP2020 scheme) is -26.44 eV/f.u.

Density functional theory data (PBE) for crystalline LaMgAu2 at its relaxed geometry.

CIF file:
```
data_LaMgAu2
_cell_length_a 7.209
_cell_length_b 7.209
_cell_length_c 7.209
_cell_angle_alpha 90.00
_cell_angle_beta 90.00
_cell_angle_gamma 90.00
_space_group_name_H-M_alt 'F m -3 m'
_space_group_IT_number 225
_space_group_name_Hall '-F 4 2 3'
loop_
_atom_site_label
_atom_site_type_symbol
_atom_site_fract_x
_atom_site_fract_y
_atom_site_fract_z
La1 La 0.000 0.000 0.000
Mg1 Mg 0.000 0.000 0.500
Au1 Au 0.250 0.250 0.250
```

Properties
The calculation puts the formation energy at -737.3 meV per atom.

Density functional theory data (PBE) for crystalline HgO at its relaxed geometry.

CIF file:
```
data_HgO
_cell_length_a 3.7573
_cell_length_b 3.7573
_cell_length_c 8.9516
_cell_angle_alpha 90.00
_cell_angle_beta 90.00
_cell_angle_gamma 120.00
_space_group_name_H-M_alt 'P 31 2 1'
_space_group_IT_number 152
loop_
_space_group_symop_operation_xyz
'x,y,z'
'-y,x-y,z+1/3'
'-x+y,-x,z+2/3'
'y,x,-z'
'x-y,-y,-z+2/3'
'-x,-x+y,-z+1/3'
loop_
_atom_site_label
_atom_site_type_symbol
_atom_site_fract_x
_atom_site_fract_y
_atom_site_fract_z
Hg1 Hg 0.0000 0.7723 0.1667
O1 O 0.0000 0.4394 0.6667
```

Properties
For the maximum piezoelectric response, the calculation gives 0.21 C/m2. The calculation puts the formation energy at -636.8 meV per atom. Its corrected total energy (MP2020 scheme) is -6.53 eV/f.u.

~~~~~

# 1
The following is a PBE calculation of a relaxed Rb4Cu8Ge3S12 crystal, from the Materials Project.

Unit cell a=12.6943 b=12.6943 c=12.6943 alpha=121.85 beta=121.85 gamma=86.82
Last column: nearest neighbours and their distance in Å.
Fractional coordinates of all 54 atoms:
Rb  0.0740  0.0740  0.6481  4 S 3.15-3.26
Rb  0.0986  0.0986  0.0000  4 S 3.37-3.38, 1 Rb 3.64
Rb  0.4014  0.4014  0.0000  4 S 3.37-3.38, 1 Rb 3.64
Rb  0.4260  0.4260  0.3519  4 S 3.15-3.26
Rb  0.5740  0.9260  0.0000  4 S 3.15-3.26
Rb  0.5986  0.5986  0.0000  4 S 3.37-3.38, 1 Rb 3.64
Rb  0.9014  0.9014  0.0000  4 S 3.37-3.38, 1 Rb 3.64
Rb  0.9260  0.5740  0.0000  4 S 3.15-3.26
Cu  0.0867  0.4041  0.6761  3 S 2.24-2.25
Cu  0.0894  0.7720  0.6761  3 S 2.24-2.25
____________
Back to the entry >
While the ruling elite in Russia would move might and main to ensure an unpredictable and volatile figure like Prigozhin does not have control of the nuclear button, for obvious reasons, these recent events will have greatly shaken the oligarchs and ruling strata of the state, and deepened divisions amongst them. Some will push for more determined action to ‘win’ the war in Ukraine, while others may be open to a truce and negotiations, sooner rather than later.
However, there is no sign from Zelensky or Nato countries that they wish to enter talks, particularly as Putin is now badly weakened. The EU committed another three and a half billion euros to fund Ukraine on 26 June. This means more bloodshed in eastern Ukraine and impoverishment of the entire country.
These latest events reinforce the fact that the working classes of Russia and Ukraine have nothing to gain from the war or from the rule of reactionary gangster-oligarchical regimes. Only working-class internationalism can show a way out of the horrors of war and poverty.
The CWI supports genuine independent actions of the working class in Ukraine against brutal Russian armed invasion, and against the anti-democratic and anti-working class Zelensky regime. Nato is no friend of the working masses either – it will fight to the last drop of Ukrainian blood for Western capitalist interests, as shown in many parts of the world where the imperialist military alliance has intervened.
And the events of the last few days have underlined that there is nothing progressive about the rotten Putin regime or any section of the ruling elite in Russia. Building a mass anti-war movement, alongside independent mass working-class organisations, like genuine trade unions and workers’ parties, with a political programme to oppose a reactionary war and the ruling elite, is vital to stop the carnage in Ukraine and to remove the scourge of the oligarch-gangster regime.
Internationally, the workers’ movement must regard the events of the last few days as an urgent wake-up call, as the conflict can move into ever more dangerous directions, and adopt an independent stance that campaigns for an end to the war, for immediate Russian withdrawal from Ukraine, opposition to Nato, and full support for the building of a powerful movement of the working class in Ukraine and Russia. A socialist federation of the region, on a voluntary and equal basis, would fully guarantee the rights of all minorities, including the people of east Ukraine and Crimea, and all across Ukraine and Russia.
On Saturday 24 June, Putin made a television broadcast furiously condemning the coup attempt and implicitly compared it to the Bolsheviks leading the working class to take power in October 1917. Putin made the ludicrous and historically incorrect claim that Tsarist Russia was on the verge of victory in the First World War until the revolutionary events of 1917. In reality, the calamitous war conducted by the Tsarist generals had led to mass disaffection among Russian troops on the front, and to bread shortages and other privations in Russia.
Next to the piece, the page also holds data records.
____________
# SrV2As2O10 | the Materials Project database | PBE with a Hubbard U | optimized geometry
data_SrV2As2O10
_chemical_formula_sum 'Sr8 V16 As16 O80'
_cell_length_a 25.7949
_cell_length_b 4.7453
_cell_length_c 18.2015
_cell_angle_alpha 90.00
_cell_angle_beta 134.65
_cell_angle_gamma 90.00
_space_group_name_H-M_alt 'C 1 c 1'
_space_group_IT_number 9
loop_
_space_group_symop_operation_xyz
'x,y,z'
'x,-y,z+1/2'
'x+1/2,y+1/2,z'
'x+1/2,-y+1/2,z+1/2'
loop_
_atom_site_label
_atom_site_type_symbol
_atom_site_fract_x
_atom_site_fract_y
_atom_site_fract_z
_atom_site_occupancy
Sr1 Sr 0.0000 0.1247 0.0000 1
Sr2 Sr 0.2459 0.3120 0.5015 1
V1 V 0.0505 0.4746 0.3766 1
V2 V 0.1740 0.2768 0.7252 1
V3 V 0.3265 0.2233 0.7749 1
V4 V 0.4478 0.0266 0.1213 1
As1 As 0.0785 0.0224 0.2690 1
As2 As 0.1921 0.2219 0.1115 1
As3 As 0.3078 0.2754 0.3862 1
As4 As 0.4215 0.4712 0.2287 1
O1 O 0.0172 0.1992 0.1545 1
O2 O 0.0369 0.2820 0.7608 1
O3 O 0.0440 0.3149 0.4497 1
O4 O 0.0946 0.4336 0.6386 1
O5 O 0.1123 0.2229 0.3745 1
O6 O 0.1377 0.0500 0.1189 1
O7 O 0.1494 0.3305 0.9894 1
O8 O 0.1586 0.0639 0.8059 1
O9 O 0.2250 0.4727 0.6867 1
O10 O 0.2367 0.4697 0.3519 1
O11 O 0.2614 0.0163 0.1447 1
O12 O 0.2755 0.0313 0.8122 1
O13 O 0.3421 0.4288 0.6936 1
O14 O 0.3513 0.1829 0.5101 1
O15 O 0.3620 0.4490 0.3791 1
O16 O 0.3852 0.2783 0.1215 1
O17 O 0.4057 0.0651 0.8606 1
O18 O 0.4554 0.1828 0.0487 1
O19 O 0.4623 0.2183 0.7378 1
O20 O 0.4822 0.3014 0.3445 1
# V	1585	Å³/cell
# mass density	4.19	g/cm3
# excess energy over the best structure of this formula in the dataset	0.67	eV per formula unit
# formation energy	-2285	meV per atom

***

# SrV2As2O10 | the Materials Project database | PBE with a Hubbard U | optimized geometry
data_SrV2As2O10
_chemical_formula_sum 'Sr4 V8 As8 O40'
_cell_length_a 5.0010
_cell_length_b 12.7452
_cell_length_c 12.9296
_cell_angle_alpha 90.00
_cell_angle_beta 90.00
_cell_angle_gamma 90.00
_space_group_name_H-M_alt 'P 21 21 21'
_space_group_IT_number 19
loop_
_space_group_symop_operation_xyz
'x,y,z'
'-x+1/2,-y,z+1/2'
'x+1/2,-y+1/2,-z'
'-x,y+1/2,-z+1/2'
loop_
_atom_site_label
_atom_site_type_symbol
_atom_site_fract_x
_atom_site_fract_y
_atom_site_fract_z
_atom_site_occupancy
Sr1 Sr 0.2382 0.0073 0.2675 1
V1 V 0.0065 0.8478 0.0067 1
V2 V 0.2259 0.2439 0.0975 1
As1 As 0.0413 0.4671 0.9972 1
As2 As 0.2349 0.2613 0.7191 1
O1 O 0.0166 0.1868 0.2226 1
O2 O 0.0166 0.2008 0.8021 1
O3 O 0.0196 0.7126 0.4896 1
O4 O 0.0943 0.3950 0.1096 1
O5 O 0.0942 0.8983 0.6059 1
O6 O 0.1026 0.3656 0.6501 1
O7 O 0.1721 0.8481 0.1473 1
O8 O 0.1778 0.4783 0.4453 1
O9 O 0.1871 0.0558 0.4551 1
O10 O 0.2435 0.7331 0.9670 1
# V	824	Å³/cell
# mass density	4.02	g/cm3
# excess energy over the best structure of this formula in the dataset	0.00	eV per formula unit
# formation energy	-2330	meV per atom

***

# Sr2VAs2O9 | the Materials Project database | PBE with a Hubbard U | optimized geometry
data_Sr2VAs2O9
_chemical_formula_sum 'Sr8 V4 As8 O36'
_cell_length_a 7.6206
_cell_length_b 16.5494
____________
The provisional government which arose from the February Revolution in 1917 continued with the war, which over several months led to mass opposition from the working class and peasantry, and to the Bolshevik socialist revolution in October 1917. This ended the war for Russia and also hastened the end of the slaughter in the trenches.
Just as Putin condemned Lenin’s sensitive and democratic approach to the rights of oppressed nations to self-determination in a rambling speech (and document) to justify the launching of the invasion of Ukraine – that included the claim that Lenin assisted in creating the ‘artificial’ nation of Ukraine – his latest historically ignorant comments are testament to the completely reactionary motivations of the ruling elite in Moscow and the oligarchs.
Like the Tsars of old, Putin won the support of the head of the Russian Orthodox Church, Patriarch Kirill, against Prigozhin’s coup attempt, as well as that of generals and politicians. Ramzan Kadyrov, the Chechen leader, denounced Prigozhin as a traitor and said he would send battle-hardened Chechen fighters to quash the mutineers.